### Assignment
It remains to count the lines below that contain the word "input" and give the number alone.

### Source
~~~
One molecule with the formula C4H8N2O3 at a distorted geometry. Source: OMol25; level of theory: ωB97M-V with the def2-TZVPD basis set.

Output
Gap between HOMO and LUMO: 0.346 hartree
LUMO energy: 0.53 eV
Energy relative to the best compared isomer or geometry (same formula, charge and spin): 239.72 kcal/mol
SMILES string: CC/C(=N/O)ONC=O
Electronic energy: -492.12095 Ha

Geometry as ORCA input:
```
! RIJCOSX wB97M-V def2-TZVPD def2/J DEFGRID3
* xyz 0 1
C -2.6760 -0.5163 0.0001
C -1.8376 0.8544 0.1513
C -0.4201 0.6848 0.1155
N 0.2869 1.5453 -0.5480
O 1.6738 1.5415 -0.1251
O 0.2641 -0.2926 0.9784
N 1.4086 -0.8490 0.7823
C 1.2196 -1.5259 -0.4498
O 0.0620 -1.3842 -0.9531
H -2.5136 -0.8041 -1.2108
H -1.7625 -1.2610 0.5028
H -3.7730 -0.8901 0.6108
H -1.9842 1.1944 1.2168
H -2.1555 1.6962 -0.6818
H 2.1418 1.9286 -1.1157
H 2.2996 -0.3227 1.3588
H 2.1650 -2.3147 -0.4259
*
```

Mulliken population analysis, charges in e, atoms 1 to 6:
1. C -0.765
2. C -0.191
3. C 0.590
4. N -0.515
5. O -0.426
6. O -0.318

=====

# 1
DFT (the ωB97M-V functional and the def2-TZVPD basis) results for a molecular structure, C28H32N4O6 in a non-equilibrium geometry.

Calculated values
F_max   14.75 eV/A
Gap between HOMO and LUMO   0.2993 hartree
Spin multiplicity   1

Structure (XYZ):
```
70
Properties=species:S:1:pos:R:3:forces:R:3
C 3.7176 2.7727 -2.4468 -0.328 4.091 2.053
C 2.7871 1.7289 -2.1106 -5.379 0.831 -1.092
N 1.6382 2.4716 -1.5442 -4.027 -3.313 3.154
C 0.6836 1.6243 -0.7984 0.585 -2.336 -1.292
O 0.7313 0.2536 -0.8719 0.193 6.869 0.536
C -0.4108 2.3696 0.0098 1.399 0.350 0.196
C -1.4189 1.9552 1.0389 5.293 6.136 -7.437
N -1.9257 3.2714 1.1530 -5.168 -2.055 5.133
C -1.3421 4.2840 0.5320 1.683 1.386 -0.115
N -0.3130 3.7732 -0.1741 -1.362 -1.069 0.487
H -1.6000 5.4919 0.7728 0.730 -3.970 -0.948
H -2.7692 3.3678 1.8382 2.030 -0.133 -1.717
C -1.8666 0.6422 1.3019 -5.645 11.038 7.897
O -2.7669 0.9635 2.2787 1.429 -3.880 -2.477
N -1.3614 -0.3125 0.7903 0.846 -8.260 -0.101
C -2.0608 -1.6123 1.2073 4.253 0.300 -8.086
C -3.1789 -1.9058 0.1713 -4.821 6.926 4.513
C -3.4633 -0.5497 -0.6118 1.967 3.003 -3.704
C -2.4652 -0.0914 -1.8119 -6.596 -5.413 9.266
C -2.7171 1.0430 -2.3162 3.146 2.796 -7.095
C -3.7145 1.9031 -2.1691 -3.532 1.212 5.532
C -4.6537 1.7064 -0.8862 5.604 0.119 -7.321
C -4.4195 0.5314 -0.2952 -1.465 -5.241 4.352
H -5.1412 0.2522 0.6462 1.777 0.631 -2.174
H -5.3079 2.4864 -1.0049 -2.218 1.256 1.449
H -3.6714 2.8679 -2.6183 -0.432 0.406 -0.631
H -1.9975 1.0359 -3.2451 -1.219 1.548 1.274
H -1.7553 -0.7378 -2.0434 3.228 -2.583 -1.202
H -4.1836 -1.9931 0.8222 2.107 -0.602 -1.635
H -2.9983 -2.6262 -0.4771 0.731 -3.502 -2.654
C -0.9307 -2.5471 0.7420 -0.913 -4.905 4.514
O -0.6495 -3.5281 1.4599 -0.448 1.538 0.228
O -0.4632 -2.4653 -0.4166 -0.325 1.432 -3.089
C 0.5229 -3.4708 -1.0339 1.172 7.610 0.938
C 0.7193 -2.8201 -2.4016 -3.323 6.071 1.302
H 1.0472 -1.4988 -2.2696 -1.124 -4.309 -0.197
H -0.1270 -2.8424 -3.1710 1.206 -0.452 1.300
H 1.5628 -3.2477 -2.6444 4.402 -2.151 -2.637
C 0.0419 -4.7459 -1.0644 -3.054 -6.822 3.242
H -0.9971 -4.7185 -1.5293 1.534 -0.819 -0.096
H 0.8787 -5.4750 -1.4356 -2.065 1.205 0.187
H -0.2272 -5.1141 0.1591 1.024 0.963 -3.746
C 1.7296 -3.2625 -0.1666 2.546 0.827 -0.064
H 1.6137 -3.7017 0.8490 0.162 0.501 -0.849
H 2.5023 -3.7633 -0.7227 0.649 -1.161 0.102
H 2.3056 -2.2459 -0.2029 -2.065 -1.141 0.360
H -2.2380 -1.7804 2.1636 -0.874 -0.061 4.283
H -0.4719 -0.3674 0.2593 -0.245 0.714 -0.464
H 1.4456 3.4791 -1.5611 0.375 -0.702 0.249
H 2.1917 1.1932 -2.9150 1.985 0.049 0.234
C 3.2608 0.8265 -1.1148 2.458 -2.433 1.234
O 3.6335 -0.2936 -1.3542 -0.264 -0.709 -0.105
O 3.5254 1.4627 0.0043 -0.416 -1.057 4.107
C 3.7562 0.5499 1.3587 -1.160 -0.639 -3.041
C 2.5943 0.4113 2.2589 -1.039 5.755 1.200
C 2.0720 -0.6767 2.7454 2.810 -9.226 -3.848
C 0.8733 -0.9576 3.2529 -5.741 2.878 5.869
C 0.1253 0.2396 3.7790 11.983 0.978 -8.551
C 0.6792 1.5831 3.3586 -0.369 -6.461 2.296
C 1.9249 1.5976 2.8391 1.764 1.393 -5.888
~~~

### Solution
1